[Activity]
Could you repeat all of the contents underneath verbatim?

[Excerpt]
=====
# LiSe3F
Computed X-ray diffraction stick pattern, copper Kα. Input: DFT lattice parameters and positions (GGA-PBE).
Kinematic intensities with the Lorentz-polarization factor, no thermal factor.

Largest 10 diffraction maxima, in order of rising 2θ, 10° ≤ 2θ ≤ 80°:
- 18.95 deg, d 4.684, intensity 55.8
- 26.92 deg, d 3.312, intensity 15.0
- 33.13 deg, d 2.704, intensity 100.0
- 38.44 deg, d 2.342, intensity 68.6
- 43.19 deg, d 2.095, intensity 24.6
- 47.55 deg, d 1.912, intensity 6.7
- 55.49 deg, d 1.656, intensity 45.5
- 59.18 deg, d 1.561, intensity 11.4
- 66.17 deg, d 1.412, intensity 40.6
- 69.52 deg, d 1.352, intensity 15.1

Structural model:
```
data_LiSe3F
_symmetry_space_group_name_H-M 'P m -3 m'
_symmetry_Int_Tables_number 221
_symmetry_space_group_name_Hall '-P 4 2 3'
_cell_length_a 4.684
_cell_length_b 4.684
_cell_length_c 4.684
_cell_angle_alpha 90.00
_cell_angle_beta 90.00
_cell_angle_gamma 90.00
loop_
_atom_site_label
_atom_site_type_symbol
_atom_site_fract_x
_atom_site_fract_y
_atom_site_fract_z
Li1 Li 0.000 0.000 0.000
Se1 Se 0.000 0.500 0.500
F1 F 0.500 0.500 0.500
```



# Li2SiF6
Computed X-ray diffraction stick pattern, copper Kα. Input: DFT lattice parameters and positions (GGA-PBE).
Kinematic intensities with the Lorentz-polarization factor, no thermal factor.

Largest 10 diffraction maxima, in order of rising 2θ, 10° ≤ 2θ ≤ 80°:
- 21.34 deg, d 4.164, intensity 77.2
- 22.85 deg, d 3.892, intensity 65.7
- 31.46 deg, d 2.843, intensity 16.8
- 38.97 deg, d 2.311, intensity 10.9
- 42.38 deg, d 2.133, intensity 100.0
- 55.12 deg, d 1.666, intensity 36.3
- 59.78 deg, d 1.547, intensity 9.1
- 62.32 deg, d 1.490, intensity 10.6
- 67.47 deg, d 1.388, intensity 18.4
- 70.16 deg, d 1.341, intensity 7.9

Structural model:
```
data_Li2SiF6
_symmetry_space_group_name_H-M 'P 3 2 1'
_symmetry_Int_Tables_number 150
_cell_length_a 8.3286
_cell_length_b 8.3286
_cell_length_c 4.6223
_cell_angle_alpha 90.00
_cell_angle_beta 90.00
_cell_angle_gamma 120.00
loop_
_symmetry_equiv_pos_as_xyz
'x,y,z'
'-y,x-y,z'
'-x+y,-x,z'
'y,x,-z'
'x-y,-y,-z'
'-x,-x+y,-z'
loop_
_atom_site_label
_atom_site_type_symbol
_atom_site_fract_x
_atom_site_fract_y
_atom_site_fract_z
Li1 Li 0.0000 0.2950 0.0000
Li2 Li 0.0000 0.6324 0.5000
Si1 Si 0.0000 0.0000 0.5000
Si2 Si 0.3333 0.6667 0.9844
F1 F 0.0933 0.8976 0.7104
F2 F 0.1384 0.5552 0.7726
F3 F 0.2264 0.7554 0.1964
```



# LiSiF4
Computed X-ray diffraction stick pattern, copper Kα. Input: DFT lattice parameters and positions (GGA-PBE).
Kinematic intensities with the Lorentz-polarization factor, no thermal factor.

Largest 10 diffraction maxima, in order of rising 2θ, 10° ≤ 2θ ≤ 80°:
- 20.52 deg, d 4.328, intensity 100.0
- 22.83 deg, d 3.895, intensity 12.2
- 34.46 deg, d 2.602, intensity 40.0
- 38.76 deg, d 2.324, intensity 19.2
- 41.74 deg, d 2.164, intensity 5.6
- 54.16 deg, d 1.694, intensity 15.0
- 62.20 deg, d 1.493, intensity 11.2
- 62.95 deg, d 1.476, intensity 7.0
- 64.61 deg, d 1.443, intensity 4.2
- 78.63 deg, d 1.217, intensity 5.3

Structural model:
```
data_LiSiF4
_symmetry_space_group_name_H-M 'I -4'
_symmetry_Int_Tables_number 82
_cell_length_a 5.508
_cell_length_b 5.508
_cell_length_c 6.996
_cell_angle_alpha 90.00
_cell_angle_beta 90.00
_cell_angle_gamma 90.00
loop_
_symmetry_equiv_pos_as_xyz
'x,y,z'
'y,-x,-z'
'-x,-y,z'
'-y,x,-z'
'x+1/2,y+1/2,z+1/2'
'y+1/2,-x+1/2,-z+1/2'
'-x+1/2,-y+1/2,z+1/2'
'-y+1/2,x+1/2,-z+1/2'
loop_
_atom_site_label
_atom_site_type_symbol
_atom_site_fract_x
_atom_site_fract_y
_atom_site_fract_z
Li1 Li 0.000 0.000 0.000
Si1 Si 0.000 0.500 0.750
F1 F 0.143 0.727 0.870
```



# LiSiF6
Computed X-ray diffraction stick pattern, copper Kα. Input: DFT lattice parameters and positions (GGA-PBE).
Kinematic intensities with the Lorentz-polarization factor, no thermal factor.

Largest 10 diffraction maxima, in order of rising 2θ, 10° ≤ 2θ ≤ 80°:
- 20.64 deg, d 4.303, intensity 54.9
- 23.88 deg, d 3.727, intensity 100.0
- 40.12 deg, d 2.247, intensity 5.5
=====

[Completed]
# LiSe3F
Computed X-ray diffraction stick pattern, copper Kα. Input: DFT lattice parameters and positions (GGA-PBE).
Kinematic intensities with the Lorentz-polarization factor, no thermal factor.

Largest 10 diffraction maxima, in order of rising 2θ, 10° ≤ 2θ ≤ 80°:
- 18.95 deg, d 4.684, intensity 55.8
- 26.92 deg, d 3.312, intensity 15.0
- 33.13 deg, d 2.704, intensity 100.0
- 38.44 deg, d 2.342, intensity 68.6
- 43.19 deg, d 2.095, intensity 24.6
- 47.55 deg, d 1.912, intensity 6.7
- 55.49 deg, d 1.656, intensity 45.5
- 59.18 deg, d 1.561, intensity 11.4
- 66.17 deg, d 1.412, intensity 40.6
- 69.52 deg, d 1.352, intensity 15.1

Structural model:
```
data_LiSe3F
_symmetry_space_group_name_H-M 'P m -3 m'
_symmetry_Int_Tables_number 221
_symmetry_space_group_name_Hall '-P 4 2 3'
_cell_length_a 4.684
_cell_length_b 4.684
_cell_length_c 4.684
_cell_angle_alpha 90.00
_cell_angle_beta 90.00
_cell_angle_gamma 90.00
loop_
_atom_site_label
_atom_site_type_symbol
_atom_site_fract_x
_atom_site_fract_y
_atom_site_fract_z
Li1 Li 0.000 0.000 0.000
Se1 Se 0.000 0.500 0.500
F1 F 0.500 0.500 0.500
```



# Li2SiF6
Computed X-ray diffraction stick pattern, copper Kα. Input: DFT lattice parameters and positions (GGA-PBE).
Kinematic intensities with the Lorentz-polarization factor, no thermal factor.

Largest 10 diffraction maxima, in order of rising 2θ, 10° ≤ 2θ ≤ 80°:
- 21.34 deg, d 4.164, intensity 77.2
- 22.85 deg, d 3.892, intensity 65.7
- 31.46 deg, d 2.843, intensity 16.8
- 38.97 deg, d 2.311, intensity 10.9
- 42.38 deg, d 2.133, intensity 100.0
- 55.12 deg, d 1.666, intensity 36.3
- 59.78 deg, d 1.547, intensity 9.1
- 62.32 deg, d 1.490, intensity 10.6
- 67.47 deg, d 1.388, intensity 18.4
- 70.16 deg, d 1.341, intensity 7.9

Structural model:
```
data_Li2SiF6
_symmetry_space_group_name_H-M 'P 3 2 1'
_symmetry_Int_Tables_number 150
_cell_length_a 8.3286
_cell_length_b 8.3286
_cell_length_c 4.6223
_cell_angle_alpha 90.00
_cell_angle_beta 90.00
_cell_angle_gamma 120.00
loop_
_symmetry_equiv_pos_as_xyz
'x,y,z'
'-y,x-y,z'
'-x+y,-x,z'
'y,x,-z'
'x-y,-y,-z'
'-x,-x+y,-z'
loop_
_atom_site_label
_atom_site_type_symbol
_atom_site_fract_x
_atom_site_fract_y
_atom_site_fract_z
Li1 Li 0.0000 0.2950 0.0000
Li2 Li 0.0000 0.6324 0.5000
Si1 Si 0.0000 0.0000 0.5000
Si2 Si 0.3333 0.6667 0.9844
F1 F 0.0933 0.8976 0.7104
F2 F 0.1384 0.5552 0.7726
F3 F 0.2264 0.7554 0.1964
```



# LiSiF4
Computed X-ray diffraction stick pattern, copper Kα. Input: DFT lattice parameters and positions (GGA-PBE).
Kinematic intensities with the Lorentz-polarization factor, no thermal factor.

Largest 10 diffraction maxima, in order of rising 2θ, 10° ≤ 2θ ≤ 80°:
- 20.52 deg, d 4.328, intensity 100.0
- 22.83 deg, d 3.895, intensity 12.2
- 34.46 deg, d 2.602, intensity 40.0
- 38.76 deg, d 2.324, intensity 19.2
- 41.74 deg, d 2.164, intensity 5.6
- 54.16 deg, d 1.694, intensity 15.0
- 62.20 deg, d 1.493, intensity 11.2
- 62.95 deg, d 1.476, intensity 7.0
- 64.61 deg, d 1.443, intensity 4.2
- 78.63 deg, d 1.217, intensity 5.3

Structural model:
```
data_LiSiF4
_symmetry_space_group_name_H-M 'I -4'
_symmetry_Int_Tables_number 82
_cell_length_a 5.508
_cell_length_b 5.508
_cell_length_c 6.996
_cell_angle_alpha 90.00
_cell_angle_beta 90.00
_cell_angle_gamma 90.00
loop_
_symmetry_equiv_pos_as_xyz
'x,y,z'
'y,-x,-z'
'-x,-y,z'
'-y,x,-z'
'x+1/2,y+1/2,z+1/2'
'y+1/2,-x+1/2,-z+1/2'
'-x+1/2,-y+1/2,z+1/2'
'-y+1/2,x+1/2,-z+1/2'
loop_
_atom_site_label
_atom_site_type_symbol
_atom_site_fract_x
_atom_site_fract_y
_atom_site_fract_z
Li1 Li 0.000 0.000 0.000
Si1 Si 0.000 0.500 0.750
F1 F 0.143 0.727 0.870
```



# LiSiF6
Computed X-ray diffraction stick pattern, copper Kα. Input: DFT lattice parameters and positions (GGA-PBE).
Kinematic intensities with the Lorentz-polarization factor, no thermal factor.

Largest 10 diffraction maxima, in order of rising 2θ, 10° ≤ 2θ ≤ 80°:
- 20.64 deg, d 4.303, intensity 54.9
- 23.88 deg, d 3.727, intensity 100.0
- 40.12 deg, d 2.247, intensity 5.5